Showing posts with label Family. Show all posts
Showing posts with label Family. Show all posts

Dastardly Downloading

Game downloads for smartphones is at an all time high in the Raleigh household.
I have owned every one of these

I have been denied access to them due to buying $60.00 in the last month for my child.
So many tiny .99 cent games, so shiny. Fine, no more games then, I will just buy comics for my Kindle. Wait, I spent how much?


Ok, ok. maybe just a book. A good old book.

 Lets see here, Sci-Fi...hmmm everything sucks. Whatever happened to old fashioned blow up aliens in space with giant ships and guns books?

Ah, well. Fine, I will just sit here like a luddite, until my next paycheck.

Not for Human Consumption

I am trying out a new thing this week. I want to see if I can do a themed sort of comic. I see a lot of others do this sort of thing. Let see how well I do shall we? Yes, yes, we shall. I think I need to take my meds again. Not only am I talking to myself, but I sound like queen elizabeth.

Kids today, I tell ya

Ok, so I know everyone loves to hear personal stuff. Heck, its what makes Facebook so popular. so Info dump:

Last night upon picking up the daughter, we notice that the kid has a serious cold, runny nose, the works (thanks mallrats). We take her home, after a short stop at a drug store to purchase stock in Big Pharma. Take kid home, and listen to her whine about her chair, food, cats, television, not having milk, not having enough milk, not having all the milk ever made by a cow.
Anyhow, we get her settled in, actually get some pain reliever in her for the sinus trouble that comes along with colds. ("MY NOSE HURTS MOMMY DADDY")

*This is where things should calm down, and lead to her going to bed*

We are on the couch in the living room, trying to calm down from the shock and awe attack, when she shrieks from the bedroom. Running in, I find that she hurt her wrist, her head, and her back. How you ask?
Well, my sick Daughter decided that she would use the little chair she normally sits in as a slide. Rather the bottom of a slide. The top would be the bed.

simulation of my daughters grand idea
 She slid face first (assumption based on injuries sustained) into her chair. Then rolled, and hurt everything, all over the place.

Children's Chair, ingredients by weight:
 *One two by four, poorly cut into sections and nailed together. 
*One cheap as possible piece of foam. 
*One cheap as possible covering

Cue figuring out how to calm her down AGAIN. At some point we decide to take her to bed, which leads to a cavalcade of bad ideas from both me and my wife.

It was fucking three stooges, people.

Finally get her to bed, and asleep. (she actually yells at wife to "Go Away.") Then she wakes up again at midnight, then again at six.

Morning ensues with a flurry of who is staying, take her to doctor, don't take her to doctor, the kindle is too bright, the phone is too bright, PITCH BLACK IS TOO BRIGHT.

I finally pry myself out the door, and drive to work,

 surprisingly quite relaxed at last.

Not Allowed in Hospitals

This comic idea was actually hand crafted by a friend of mine during a deep philosophical conversation (re: drinking) It illustrates why some of us dont like hospitals very much. Too much security, and they just wont let you take the bio hazard waste containers when you want to.

Tomorrows comic should be interesting as I ran out of scripts last week some time, and the whole Christmas thingy has gotten just a bit silly. Thank goodness its all over.

Next up, potty training. Cant wait to deal with that. Must make note to keep a lot of disinfectant around. That and pray for regular standard bowel movements by my daughter.

Now that you have all recoiled in horror from way way too much detail, I bid you adieu until tomorrow.

Merry....Oh wait, ok

He really likes the giving season. I expect that my wife will have much the same opinion when she gets home tonight, as I decorated already in a flurry of boredom, and trying to clean out a closet.

Attached: materials data >
=====
Computed X-ray diffraction stick pattern of Cs2RbHgCl6 for copper Kα, from a GGA-PBE-relaxed structure.

Crystal structure
Cell lengths 11.284, 11.284, 11.284 Å; angles 90.00, 90.00, 90.00 degrees
Space group Fm-3m (No. 225)
One atom of each set of equivalent atoms:
Cs  0.250  0.250  0.250
Rb  0.000  0.000  0.000
Hg  0.000  0.000  0.500
Cl  0.000  0.000  0.269

Principal peaks in the range 10° ≤ 2θ ≤ 90°, sorted by position:
| hkl | two_theta | I/Imax |
| --- | --- | --- |
| 1 1 1 | 13.59 | 17 |
| 2 2 0 | 22.28 | 100 |
| 4 0 0 | 31.72 | 52 |
| 4 2 2 | 39.11 | 46 |
| 4 4 0 | 45.47 | 36 |
| 6 2 0 | 51.20 | 24 |
| 6 4 2 | 61.50 | 27 |
| 6 6 0 | 70.86 | 13 |
| 8 4 0 | 75.34 | 15 |
| 10 2 0 | 88.33 | 15 |

Computed X-ray diffraction stick pattern of Rb2Tb4Cu4S9 for copper Kα, from a GGA-PBE-relaxed structure.

Crystal structure
Cell lengths 13.917, 3.967, 16.010 Å; angles 90.00, 109.27, 90.00 degrees
Space group C2/m (No. 12)
One atom of each set of equivalent atoms:
Rb  0.028  0.000  0.271
Tb  0.154  0.500  0.554
Tb  0.232  0.000  0.104
Cu  0.070  0.500  0.961
Cu  0.248  0.000  0.729
S  0.000  0.000  0.500
S  0.107  0.500  0.125
S  0.138  0.000  0.925
S  0.156  0.500  0.723
S  0.203  0.500  0.399

Principal peaks in the range 10° ≤ 2θ ≤ 90°, sorted by position:
| hkl | two_theta | I/Imax |
| --- | --- | --- |
| 2 0 0 | 13.48 | 100 |
| 2 0 -4 | 22.96 | 58 |
| 4 0 -2 | 25.77 | 87 |
| 1 1 2 | 27.27 | 68 |
| 1 1 -3 | 28.05 | 79 |
| 0 0 5 | 29.60 | 96 |
| 3 1 -2 | 30.07 | 53 |
| 3 1 -3 | 31.66 | 49 |
| 3 1 1 | 32.28 | 77 |
| 0 2 0 | 45.75 | 69 |

Computed X-ray diffraction stick pattern of NaHoZnS3 for copper Kα, from a GGA-PBE-relaxed structure.

Crystal structure
Cell lengths 7.920, 3.916, 9.480 Å; angles 90.00, 104.75, 90.00 degrees
Space group P2_1/m (No. 11)
One atom of each set of equivalent atoms:
Na  0.202  0.250  0.206
Ho  0.325  0.750  0.855
Zn  0.081  0.250  0.605
S  0.082  0.250  0.849
S  0.219  0.750  0.542
S  0.440  0.750  0.149

Principal peaks in the range 10° ≤ 2θ ≤ 90°, sorted by position:
| hkl | two_theta | I/Imax |
| --- | --- | --- |
| 1 0 -1 | 13.04 | 100 |
| 1 1 0 | 25.55 | 11 |
| 1 1 1 | 28.42 | 16 |
| 0 0 3 | 29.22 | 15 |
| 0 1 2 | 30.01 | 14 |
| 2 1 -1 | 32.38 | 25 |
| 2 1 0 | 32.70 | 26 |
| 1 1 -3 | 36.79 | 17 |
| 0 2 0 | 46.37 | 11 |
| 2 1 -4 | 46.83 | 18 |

Computed X-ray diffraction stick pattern of Cd2SiP4O14 for copper Kα, from a GGA-PBE-relaxed structure.

Crystal structure
Cell lengths 17.144, 5.081, 12.470 Å; angles 90.00, 103.88, 90.00 degrees
Space group C2/c (No. 15)
One atom of each set of equivalent atoms:
Cd  0.244  0.155  0.132
Si  0.000  0.154  0.750
P  0.114  0.368  0.624
P  0.131  0.184  0.411
O  0.036  0.338  0.668
O  0.068  0.034  0.322
O  0.085  0.213  0.508
O  0.126  0.345  0.107
O  0.142  0.451  0.366
O  0.185  0.215  0.693
O  0.204  0.011  0.450

Principal peaks in the range 10° ≤ 2θ ≤ 90°, sorted by position:
| hkl | two_theta | I/Imax |
| --- | --- | --- |
| 2 0 0 | 10.63 | 100 |
=====

Friday Friday Friday New things for me!

This is going to be the new header for my web comic. this way I can keep track of who the characters are and who created them. Not much time today for any drawing. I need to study a bit more, on non comic things. (IT things in case you wondered.) so this is my lunchtime post. I hope you like it. Its going to be at the top of the webpage asap.

Robotic Love 17: Fear for your drapes

This turned out a bit better than expected. Kanga the DoomKitty has arrived at the Robot family. Fear for your drapes. FEAR!!!!

Working working working

OK, now I have the figures all colored up. I need to relocate the word balloons though. Or the art, not sure there. Also adding in some minor sketch for Bobert jr. I like drawing the little tyke.

Rough edits

I still need to work on colors etc. but i think this is a good bit of familial humor for anyone. I also learned that if you save an image wrong, you can no longer erase shit off it, so gee nice one.

Robotic Love 14:Babe

What comes next are data records, not part of the text:
____________
# 1
Simulated powder X-ray diffraction pattern of NdMg6Sc for Cu Kα X-rays, from a crystal structure in Alexandria, relaxed with GGA-PBE.

Crystal structure
```
data_NdMg6Sc
_chemical_formula_sum 'Nd2 Mg12 Sc2'
_cell_length_a 9.375
_cell_length_b 9.385
_cell_length_c 4.532
_cell_angle_alpha 90.00
_cell_angle_beta 90.00
_cell_angle_gamma 90.00
_symmetry_space_group_name_H-M 'C m m m'
_symmetry_Int_Tables_number 65
_symmetry_space_group_name_Hall '-C 2 2'
loop_
_atom_site_label
_atom_site_fract_x
_atom_site_fract_y
_atom_site_fract_z
_atom_site_occupancy
Nd1 0.000 0.000 0.000 1
Mg1 0.000 0.259 0.500 1
Mg2 0.241 0.500 0.500 1
Mg3 0.250 0.250 0.000 1
Sc1 0.000 0.500 0.000 1
```

Top 8 peaks for 2θ = 10–90°, sorted by position:
- 2θ 13.3, I 31, hkl 1 1 0
- 2θ 18.9, I 33, hkl 2 0 0
- 2θ 23.8, I 22, hkl 1 1 1
- 2θ 27.4, I 27, hkl 2 0 1
- 2θ 33.5, I 100, hkl 2 2 1
- 2θ 38.4, I 34, hkl 4 0 0
- 2θ 56.5, I 21, hkl 4 0 2
- 2θ 66.3, I 25, hkl 6 2 1

=====

# 2
Simulated powder X-ray diffraction pattern of ZnP2O6 for Cu Kα X-rays, from a crystal structure in Alexandria, relaxed with GGA-PBE.

Crystal structure
```
data_ZnP2O6
_chemical_formula_sum 'Zn8 P16 O48'
_cell_length_a 7.783
_cell_length_b 7.763
_cell_length_c 16.785
_cell_angle_alpha 90.00
_cell_angle_beta 91.69
_cell_angle_gamma 90.00
_symmetry_space_group_name_H-M 'C 1 c 1'
_symmetry_Int_Tables_number 9
_symmetry_space_group_name_Hall 'C -2yc'
loop_
_atom_site_label
_atom_site_fract_x
_atom_site_fract_y
_atom_site_fract_z
_atom_site_occupancy
Zn1 0.000 0.090 0.000 1
Zn2 0.395 0.309 0.277 1
P1 0.073 0.236 0.388 1
P2 0.087 0.491 0.521 1
P3 0.308 0.016 0.139 1
P4 0.313 0.281 0.754 1
O1 0.006 0.346 0.462 1
O2 0.028 0.337 0.991 1
O3 0.033 0.049 0.403 1
O4 0.138 0.248 0.786 1
O5 0.173 0.008 0.574 1
O6 0.255 0.288 0.372 1
O7 0.273 0.462 0.539 1
O8 0.278 0.146 0.203 1
O9 0.349 0.171 0.676 1
O10 0.364 0.460 0.734 1
O11 0.451 0.193 0.817 1
O12 0.492 0.061 0.102 1
```

Top 8 peaks for 2θ = 10–90°, sorted by position:
- 2θ 21.2, I 35, hkl 0 0 4
- 2θ 22.9, I 37, hkl 2 0 0
- 2θ 24.9, I 69, hkl 2 0 -2
- 2θ 25.3, I 100, hkl 0 2 2
- 2θ 25.5, I 36, hkl 2 0 2
- 2θ 27.0, I 31, hkl 1 1 4
- 2θ 30.9, I 23, hkl 1 1 -5
- 2θ 31.5, I 25, hkl 1 1 5

=====

# 3
Simulated powder X-ray diffraction pattern of Zr3CdHg3 for Cu Kα X-rays, from a crystal structure in Alexandria, relaxed with GGA-PBE.

Crystal structure
```
data_Zr3CdHg3
_chemical_formula_sum 'Zr6 Cd2 Hg6'
_cell_length_a 8.4696
_cell_length_b 8.4696
_cell_length_c 5.0446
_cell_angle_alpha 90.00
_cell_angle_beta 90.00
_cell_angle_gamma 120.00
_symmetry_space_group_name_H-M 'P 63/m'
_symmetry_Int_Tables_number 176
_symmetry_space_group_name_Hall '-P 6c'
loop_
_atom_site_label
_atom_site_fract_x
_atom_site_fract_y
_atom_site_fract_z
_atom_site_occupancy
Zr1 0.1055 0.4636 0.2500 1
Cd1 0.3333 0.6667 0.7500 1
Hg1 0.0453 0.2498 0.7500 1
```

Top 8 peaks for 2θ = 10–90°, sorted by position:
- 2θ 32.3, I 23, hkl 2 1 0
- 2θ 35.6, I 25, hkl 0 0 2
- 2θ 37.0, I 100, hkl 2 1 1
____________
Here the text continues:

Rough draft of the comic i am going to wrap up later tonight. Only had time to rough it out so far. I like it though. It has more of the feel of what I want to communicate with my comic.Definitely got to work on the backgrounds though. I really like what  Jeffery Rowland does with his. I forget how its done. I did it with some of my early comics. My luck is that I need photoshop. Grrrrr!